About Us

Seeking Beyond Paranormal, Est. 2023

We are small team of paranormal enthusiasts-turned-investigators based in Huntsville, Alabama. As enthusiasts, we started out wanting to travel to the country's most haunted locations and experience them the way they were meant to be experienced. Not only would it be a fun and unique way to get out and travel, but it would give us meaningful and personal connections to this world we've only ever seen in popular media over the years. However, our first event was enough to light the spark for becoming our own team of paranormal investigators.

David Reimer, Founder

Growing up, I had almost zero knowledge or interest in the paranormal. I had some understanding of what an afterlife was and what spirits were supposed to be, but beyond some dogmatic knowledge from Catholic school and knowing what scary movies were, the paranormal just wasn't anything that was on my radar. I couldn't even tell you if I believed in any of it or not, it just wasn't a topic I put any energy into. Then in 2004, a little TV show called Ghost Hunters debuted and changed my whole perspective on things. It was really intriguing to see what they were doing, how they were doing it, and why.

**Here the entry breaks off for calculated crystals:**
<<<
Starting from a DFT-relaxed cell (PBE, Alexandria), the X-ray diffraction stick pattern of La2CuP3Pd4 was computed for Cu Kα.
Lines closer than 0.1° are merged.

Principal peaks in the range 5° ≤ 2θ ≤ 70°, sorted by position:
h k l	2θ (°)	Rel. int.
1 0 2	27.6	14
1 1 0	29.5	12
1 1 1	30.8	21
1 0 3	34.4	65
1 1 2	34.7	100
2 0 0	42.1	62
1 1 4	47.6	11
1 0 5	51.0	26
2 1 3	55.5	32
2 2 0	61.1	20
1 1 6	64.6	16
2 1 5	68.3	18

Atomic structure:
```
data_La2CuP3Pd4
_chemical_formula_sum 'La2 Cu1 P3 Pd4'
_symmetry_space_group_name_H-M 'P 1'
_symmetry_Int_Tables_number 1
_symmetry_space_group_name_Hall 'P 1'
_cell_length_a 4.2892
_cell_length_b 4.2892
_cell_length_c 9.8470
_cell_angle_alpha 90.00
_cell_angle_beta 90.00
_cell_angle_gamma 90.00
loop_
_atom_site_label
_atom_site_fract_x
_atom_site_fract_y
_atom_site_fract_z
La1 0.0000 0.5000 0.2495
La2 0.5000 0.0000 0.7505
Cu1 0.0000 0.0000 0.5000
P1 0.0000 0.5000 0.8652
P2 0.5000 0.0000 0.1348
P3 0.5000 0.5000 0.5000
Pd1 0.0000 0.0000 0.0000
Pd2 0.0000 0.5000 0.6228
Pd3 0.5000 0.0000 0.3772
Pd4 0.5000 0.5000 0.0000
```
>>>
**Back to the entry:**

In college, I began to actually experience some paranormal occurrences. My first notable experience was a floor lamp in my old bedroom turning itself on at 2am right above my head, and then turning itself off a few minutes later. The following day my parents would reveal all sorts of activity they've experienced in their house (and continue to experience today!), and I began to pay attention. After college, I experienced more activity in my own home, where I began keeping a journal of the experiences. I would even go on to have an experience involving a close friend that passed away, which really cemented my beliefs and turned the paranormal into more than just a casual interest. That journal would eventually grow to be an 11-page Word document, and it is my hope to seek out more experiences and continue that documentation with Seeking Beyond.

Jessica Reimer, Founder

When I was growing up, my parents and I were Buddhist and switched to Metaphysical Christianity, each of which gave me a broad perspective of the world, the afterlife, and everything in between. I've always been fascinated by the supernatural and paranormal, mostly through fictional books and movies. My interest in the paranormal specifically developed when the TV show Ghost Hunters came out. That interest grew even more when my sister Sherrie joined a ghost hunting team in Kansas, the Wichita Paranormal Research Society, which is part of the worldwide TAPS Family.

Before we founded Seeking Beyond Paranormal, I never experienced anything definite. I had occasionally experienced a glimpse of something or heard an unusual sound, but nothing that couldn't be explained away. I am hoping that our adventures and investigations allow me to experience something that is, without a doubt, paranormal.